## Listing
........
Entry 1:
VASP calculation (PBE) on Te3Au after structural relaxation.

## Properties
- Formation enthalpy at 0 K: 0.014 eV per atom
- Space-group type: P4/mmm

The structure in POSCAR format:
```
Te3Au
1.0
-1.1397 -0.1424 -2.9135
-1.3371 -2.7545 0.6577
-10.5004 6.0077 3.8138
Te Au
3 1
Cartesian
-5.2502 3.0039 1.9069 Te
-2.1881 1.2519 0.7947 Te
-8.3123 4.7558 3.0191 Te
0.0000 0.0000 0.0000 Au
```



Entry 2:
VASP calculation (PBE) on ThAu3 after structural relaxation.

## Properties
- Formation enthalpy at 0 K: -0.632 eV per atom
- Space-group type: P6_3/mmc

The structure in POSCAR format:
```
ThAu3
1.0
3.2672 -5.6589 0.0000
3.2672 5.6589 0.0000
0.0000 0.0000 4.8086
Au Th
6 2
Cartesian
1.5357 -0.8866 3.6064 Au
3.2672 -3.8857 3.6064 Au
4.9987 -0.8866 3.6064 Au
3.2672 3.8857 1.2021 Au
4.9987 0.8866 1.2021 Au
1.5357 0.8866 1.2021 Au
3.2672 -1.8863 1.2021 Th
3.2672 1.8863 3.6064 Th
```



Entry 3:
VASP calculation (PBE) on Th3Au4 after structural relaxation.

## Properties
- Formation enthalpy at 0 K: -0.668 eV per atom
- Space-group type: R-3

The structure in POSCAR format:
```
Th3Au4
1.0
4.5292 -6.9589 0.0000
4.5292 6.9589 0.0000
-6.1629 0.0000 5.5640
Au Th
8 6
Cartesian
-0.2700 -2.3165 5.1886 Au
1.4393 -3.4399 1.2736 Au
1.4562 3.4399 4.2904 Au
5.0153 -1.1235 2.4382 Au
3.1654 2.3165 0.3754 Au
1.4477 0.0000 2.7820 Au
-2.1199 1.1235 3.1258 Au
0.0000 0.0000 0.0000 Au
2.6933 -2.6300 3.9872 Th
-1.0883 -1.7901 2.2484 Th
2.9525 -0.8399 0.1456 Th
3.9838 1.7901 3.3156 Th
-0.0571 0.8399 5.4184 Th
0.2021 2.6300 1.5768 Th
```



Entry 4:
VASP calculation (PBE) on Th2Au after structural relaxation.

## Properties
- Formation enthalpy at 0 K: -0.421 eV per atom
- Space-group type: I4/mcm

The structure in POSCAR format:
```
Th2Au
1.0
1.7436 -3.2555 -4.8082
5.0858 -3.3389 0.2826
-1.9279 -5.7424 -0.6334
Th Au
4 2
Cartesian
2.4413 -9.0913 -4.4262 Th
3.7772 -6.7070 -1.7338 Th
1.1243 -5.6298 -3.4251 Th
2.4602 -3.2455 -0.7327 Th
1.3077 -2.4416 -3.6061 Au
0.4359 -0.8139 -1.2020 Au
```



- Which of these has the highest formation enthalpy at 0 K?
  Te3Au



- The highest formation enthalpy at 0 K belongs to which entry?
  Te3Au



Copy entry 4 word for word.
VASP calculation (PBE) on Th2Au after structural relaxation.

## Properties
- Formation enthalpy at 0 K: -0.421 eV per atom
- Space-group type: I4/mcm

The structure in POSCAR format:
```
Th2Au
1.0
1.7436 -3.2555 -4.8082
5.0858 -3.3389 0.2826
-1.9279 -5.7424 -0.6334
Th Au
4 2
Cartesian
2.4413 -9.0913 -4.4262 Th
3.7772 -6.7070 -1.7338 Th
1.1243 -5.6298 -3.4251 Th
2.4602 -3.2455 -0.7327 Th
1.3077 -2.4416 -3.6061 Au
0.4359 -0.8139 -1.2020 Au
```


No. 1
GGA+U Ca6Mg2CoAs6O30, optimized geometry; space-group type = No. 2
1.0
6.3157 0.0000 0.0000
0.2941 8.7689 0.0000
0.1338 0.0878 11.4228
O Ca Mg As Co
30 6 2 6 1
Cartesian
5.9668 7.2300 0.2490
1.4435 0.3815 4.4288
1.0543 5.2734 2.9852
1.2914 5.9235 5.7488
0.7768 1.6268 11.1738
3.3639 2.8657 2.0204
5.4523 2.9332 5.6740
4.7117 0.7392 0.8339
5.4380 4.7829 3.9855
3.5576 6.2812 0.6772
2.6601 3.6960 4.6427
3.3376 7.7424 7.8297
6.1556 2.1505 2.9673
3.4212 6.3741 3.9959
4.0835 5.1608 6.7802
1.3206 5.2900 11.1387
5.4142 0.1846 9.7081
5.6893 3.5833 8.4377
2.0319 8.1176 10.5889
5.3002 8.4752 6.9941
3.3224 2.4827 7.4269
3.3797 5.9910 9.4024
5.5772 8.2400 3.6331
3.4060 1.1143 3.5932
5.4230 3.5667 0.2842
1.3056 4.0739 7.4374
1.3294 8.6722 1.7147
3.1860 2.5755 10.7456
1.1664 0.6168 7.7897
0.5880 6.7062 8.4556
1.1341 3.5045 1.3673
1.4238 2.1785 6.0002
5.6095 5.3523 10.0556
5.3198 6.6782 5.4227
3.6881 7.9187 2.2551
3.0556 0.9380 9.1677
4.4259 2.9591 3.8313
2.3178 5.8976 7.5915
4.2029 2.4119 0.5689
2.5407 6.4449 10.8539
4.6228 3.5520 7.0701
0.2607 0.4953 3.1713
6.4829 8.3615 8.2515
2.1209 5.3047 4.3528
0.0000 0.0000 0.0000

No. 2
GGA+U CaCoAsO5, optimized geometry; space-group type = No. 19
1.0
5.8232 0.0000 0.0000
0.0000 7.6299 0.0000
0.0000 0.0000 8.9554
O Co As Ca
20 4 4 4
Cartesian
4.4112 6.5984 1.9726
0.4890 5.5070 3.8540
1.4996 4.8464 6.9828
........

## Wanted
Next, filter the lines above: keep the lines with the word "Ca6Mg2CoAs6O30".

## Written answer
GGA+U Ca6Mg2CoAs6O30, optimized geometry; space-group type = No. 2